Exercise:
Filter the data underneath: keep the lines with the word "per".

Entries:
/*
A geometry-optimized InNi3 structure, computed with PBE.

a b c (Å): 4.5477 4.5477 4.3741
angles (deg): 75.51 75.51 37.34
Closest atoms and distances in Å follow each position.
Element x y z (fractional)
1 In 0.0000 0.0000 0.0000  10 Ni 2.63-2.68, 2 In 2.91
2 Ni 0.5000 0.5000 0.5000  6 Ni 2.53-2.65, 4 In 2.63
3 Ni 0.7567 0.7567 0.7261  7 Ni 2.48-2.78, 3 In 2.65-2.68
4 Ni 0.2433 0.2433 0.2739  7 Ni 2.48-2.78, 3 In 2.65-2.68

Crystal system: monoclinic
ΔH_f (0 K) (eV per atom): 0.029


A geometry-optimized In4Ni structure, computed with PBE.

a b c (Å): 5.0242 5.0242 5.0242
angles (deg): 90.00 90.00 90.00
Closest atoms and distances in Å follow each position.
Element x y z (fractional)
1 Ni 0.5000 0.5000 0.5000  6 In 2.51
2 In 0.0000 0.0000 0.0000  12 In 3.55
3 In 0.5000 0.0000 0.5000  2 Ni 2.51
4 In 0.0000 0.5000 0.5000  2 Ni 2.51
5 In 0.5000 0.5000 0.0000  2 Ni 2.51

Crystal system: cubic
Excess energy over the best structure of this formula in the dataset (meV/atom): 0
ΔH_f (0 K) (eV per atom): 0.005

~~~~~

1.
{"formula": "AlAgAu3", "functional": "GGA-PBE", "state": "relaxed", "cell": [[2.7191, -6.6295, 0.0000], [2.7191, 6.6295, 0.0000], [0.0000, 0.0000, 5.2498]], "species": ["Al", "Al", "Ag", "Ag", "Au", "Au", "Au", "Au", "Au", "Au"], "fractional_positions": [[0.1687, 0.8313, 0.7500], [0.8313, 0.1687, 0.2500], [0.4273, 0.5727, 0.2500], [0.5727, 0.4273, 0.7500], [0.0000, 0.0000, 0.0000], [0.0000, 0.0000, 0.5000], [0.0806, 0.4221, 0.7500], [0.4221, 0.0806, 0.2500], [0.5779, 0.9194, 0.7500], [0.9194, 0.5779, 0.2500]], "total_magnetization_mub_per_cell": 0.00, "dos_at_fermi_per_ev_cell": 2.17, "relative_energy_mev_per_atom": 49, "ef_kj_per_mol_atoms": -11, "space_group": "Cmcm"}



2.
{"formula": "SrTbMgCd", "functional": "GGA-PBE", "state": "relaxed", "cell": [[3.9474, 0.0000, 0.0000], [0.0000, 3.9474, 0.0000], [0.0000, 0.0000, 7.8665]], "species": ["Sr", "Tb", "Mg", "Cd"], "fractional_positions": [[0.0000, 0.0000, 0.0000], [0.0000, 0.0000, 0.4847], [0.5000, 0.5000, 0.7112], [0.5000, 0.5000, 0.2775]], "total_magnetization_mub_per_cell": 0.16, "dos_at_fermi_per_ev_cell": 4.11, "relative_energy_mev_per_atom": 0, "ef_kj_per_mol_atoms": -18, "space_group": "P4mm"}



3.
{"formula": "Ac2CdSnPt6", "functional": "GGA-PBE", "state": "relaxed", "cell": [[0.0000, 5.0196, 5.0196], [5.0196, 0.0000, 5.0196], [5.0196, 5.0196, 0.0000]], "species": ["Ac", "Ac", "Cd", "Sn", "Pt", "Pt", "Pt", "Pt", "Pt", "Pt"], "fractional_positions": [[0.2500, 0.2500, 0.2500], [0.7500, 0.7500, 0.7500], [0.0000, 0.0000, 0.0000], [0.5000, 0.5000, 0.5000], [0.2516, 0.2516, 0.7484], [0.2516, 0.7484, 0.2516], [0.2516, 0.7484, 0.7484], [0.7484, 0.2516, 0.2516], [0.7484, 0.2516, 0.7484], [0.7484, 0.7484, 0.2516]], "total_magnetization_mub_per_cell": 0.00, "dos_at_fermi_per_ev_cell": 3.64, "ef_kj_per_mol_atoms": -20, "space_group": "Fm-3m"}



4.
{"formula": "Li2GaNi", "functional": "GGA-PBE", "state": "relaxed", "cell": [[3.5195, 0.0000, 0.0000], [0.0000, 3.5195, 0.0000], [0.0000, 0.0000, 4.2489]], "species": ["Li", "Li", "Ga", "Ni"], "fractional_positions": [[0.0000, 0.5000, 0.0000], [0.5000, 0.0000, 0.0000], [0.0000, 0.0000, 0.5000], [0.5000, 0.5000, 0.5000]], "total_magnetization_mub_per_cell": 0.00, "dos_at_fermi_per_ev_cell": 2.22, "ef_kj_per_mol_atoms": -21, "space_group": "P4/mmm"}



5.
{"formula": "RbPdI", "functional": "GGA-PBE", "state": "relaxed", "cell": [[4.7333, 0.0000, 0.0000], [-2.3667, 4.0992, 0.0000], [0.0000, 0.0000, 5.1464]], "species": ["Rb", "Pd", "I"], "fractional_positions": [[0.0000, 0.0000, 0.0000], [0.6667, 0.3333, 0.5000], [0.3333, 0.6667, 0.5000]], "total_magnetization_mub_per_cell": 0.00, "e_form_raw_ev_per_atom": -0.595, "dos_at_fermi_per_ev_cell": 0.02, "relative_energy_mev_per_atom": 77, "space_group": "P-6m2"}



6.
*/

Worked solution:
ΔH_f (0 K) (eV per atom): 0.029
ΔH_f (0 K) (eV per atom): 0.005